'''
Here is a structure of composition C39H38BeN3O3S from OMol25. Energies are from ωB97M-V/def2-TZVPD.

```
! wB97M-V def2-TZVPD RIJCOSX def2/J DEFGRID3
* xyz -1 1
Be -0.76512 -0.32270 -0.53796
C 4.15595 -2.87842 -0.39302
C 4.92520 -1.59738 -0.06187
C 5.72648 -1.84431 1.22302
C 5.89782 -1.30957 -1.21386
C 3.99576 -0.39399 0.12086
C 4.51270 0.81719 0.58366
C 3.69446 1.93918 0.71815
C 2.35504 1.85109 0.40169
S 1.10939 3.09206 0.54320
C -0.11031 1.98959 -0.25957
N 0.46865 0.65530 -0.29239
C 1.81063 0.64347 -0.05797
C 2.64411 -0.46614 -0.20599
C -2.09521 2.19512 -1.10766
C -3.34146 2.80823 -1.56352
C -4.52968 2.32874 -1.16873
C -4.61295 1.11601 -0.37325
C -3.51890 0.36737 -0.13191
C -2.15314 0.73394 -0.50509
H 4.85833 -3.71125 -0.47882
H 3.62011 -2.79606 -1.34028
H 3.43143 -3.12363 0.38688
H 6.32486 -2.75429 1.12316
H 5.05932 -1.96267 2.07900
H 6.40782 -1.02093 1.44099
H 6.58630 -2.14818 -1.35551
H 6.48506 -0.41195 -1.01290
H 5.34992 -1.15127 -2.14468
H 5.56287 0.90490 0.83345
H 4.11137 2.87332 1.07677
H 2.20438 -1.37560 -0.58967
H -3.27812 3.63544 -2.26231
H -5.44597 2.80018 -1.50595
H -5.59037 0.75039 -0.07966
H -3.65194 -0.60789 0.32897
C 0.16295 6.50418 -2.83042
C 0.64832 5.44059 -3.57643
C 0.35764 4.13472 -3.20180
C -0.41702 3.86663 -2.07878
C -0.89664 4.94561 -1.33447
C -0.61192 6.25032 -1.70456
C -0.69673 2.45717 -1.66876
C -1.56408 1.96880 0.27464
C -1.99873 2.34535 1.62998
C -3.04267 3.23735 1.84907
C -3.42535 3.57595 3.14290
C -2.76351 3.03079 4.23191
C -1.71686 2.13750 4.01961
C -1.33980 1.79580 2.73247
H 0.38600 7.52309 -3.12179
H 1.25770 5.62551 -4.45266
H 0.74081 3.30480 -3.78426
H -1.49665 4.75541 -0.45016
H -0.99297 7.07257 -1.11127
H -0.39674 1.75625 -2.45364
H -3.55678 3.66691 0.99864
H -4.24230 4.27118 3.29629
H -3.05901 3.29581 5.23982
H -1.19509 1.70298 4.86350
H -0.53235 1.09234 2.56688
C -3.35973 -3.89401 -1.27344
C -2.95722 -4.37591 0.11465
C -1.47417 -4.16954 0.51589
C -1.23536 -4.80363 1.88580
C 0.18105 -4.59808 2.40892
C -0.62007 -4.87104 -0.52123
O -0.45563 -6.07446 -0.53770
N -0.04810 -4.06486 -1.46639
C -0.13582 -2.66787 -1.54039
O 0.31316 -2.10582 -2.51997
N -0.71554 -2.00518 -0.49653
C -1.24706 -2.66246 0.58121
O -1.60244 -2.04641 1.56943
H -4.42745 -4.06100 -1.42113
H -2.83004 -4.43408 -2.06062
H -3.17467 -2.82653 -1.40768
H -3.15832 -5.44587 0.21283
H -3.54918 -3.86161 0.87515
H -1.44226 -5.87045 1.78645
H -1.96088 -4.37776 2.57893
H 0.91738 -5.01771 1.71948
H 0.31115 -5.10039 3.36836
H 0.39923 -3.53867 2.55161
H 0.45891 -4.50956 -2.21757
*
```

Properties
Strongest force on any atom (eV/A): 0.4
HOMO energy (eV): -4.10
Kohn-Sham gap (eV): 6.753

=====

Here is a structure of composition C39H38BrN8O4PPdS2 from OMol25. Energies are from ωB97M-V/def2-TZVPD.

```
! wB97M-V def2-TZVPD RIJCOSX def2/J DEFGRID3
* xyz -2 1
Pd 1.00941 0.87808 0.89931
O -1.59371 1.71253 4.57997
C -0.76131 0.83358 4.26104
O 0.46256 0.94017 4.07931
C -1.35805 -0.57182 4.10292
C -2.05667 -1.04611 5.21789
C -2.63887 -2.29756 5.23882
C -2.58222 -3.08803 4.09653
C -1.93183 -2.60884 2.97520
C -1.28434 -1.36724 2.95490
P -0.52541 -0.81757 1.33288
C 0.20120 -2.42522 0.75642
C 1.58385 -2.54389 0.87898
C 2.24435 -3.70265 0.49529
C 1.52710 -4.77203 -0.01849
C 0.15130 -4.66021 -0.17310
C -0.50143 -3.49233 0.19465
C -2.06739 -0.78851 0.32721
C -1.95662 -0.88472 -1.06166
C -3.06873 -0.75119 -1.87728
C -4.31674 -0.49761 -1.31977
C -4.43518 -0.37419 0.05685
C -3.32119 -0.52035 0.87328
H -2.13008 -0.38498 6.07187
H -3.14319 -2.65394 6.13043
H -3.05869 -4.06150 4.06919
H -1.94590 -3.21822 2.08214
H 2.14066 -1.68509 1.23120
H 3.32452 -3.74283 0.55638
H 2.03955 -5.67287 -0.33509
H -0.41491 -5.47901 -0.60290
H -1.56887 -3.41045 0.02407
H -0.98019 -1.03276 -1.50652
H -2.95364 -0.82733 -2.95219
H -5.18659 -0.38209 -1.95590
H -5.39778 -0.15520 0.50323
H -3.42789 -0.40546 1.94512
Br 3.41895 4.38913 -0.00489
C 3.59856 2.58148 0.66223
C 4.66401 1.85295 0.20765
C 4.80843 0.56322 0.73974
C 3.92683 0.13074 1.69300
C 2.85892 0.96050 2.10372
'''

Could you restate the lines earlier on up to the one that holds "-1.46639", that line included?

Here is a structure of composition C39H38BeN3O3S from OMol25. Energies are from ωB97M-V/def2-TZVPD.

```
! wB97M-V def2-TZVPD RIJCOSX def2/J DEFGRID3
* xyz -1 1
Be -0.76512 -0.32270 -0.53796
C 4.15595 -2.87842 -0.39302
C 4.92520 -1.59738 -0.06187
C 5.72648 -1.84431 1.22302
C 5.89782 -1.30957 -1.21386
C 3.99576 -0.39399 0.12086
C 4.51270 0.81719 0.58366
C 3.69446 1.93918 0.71815
C 2.35504 1.85109 0.40169
S 1.10939 3.09206 0.54320
C -0.11031 1.98959 -0.25957
N 0.46865 0.65530 -0.29239
C 1.81063 0.64347 -0.05797
C 2.64411 -0.46614 -0.20599
C -2.09521 2.19512 -1.10766
C -3.34146 2.80823 -1.56352
C -4.52968 2.32874 -1.16873
C -4.61295 1.11601 -0.37325
C -3.51890 0.36737 -0.13191
C -2.15314 0.73394 -0.50509
H 4.85833 -3.71125 -0.47882
H 3.62011 -2.79606 -1.34028
H 3.43143 -3.12363 0.38688
H 6.32486 -2.75429 1.12316
H 5.05932 -1.96267 2.07900
H 6.40782 -1.02093 1.44099
H 6.58630 -2.14818 -1.35551
H 6.48506 -0.41195 -1.01290
H 5.34992 -1.15127 -2.14468
H 5.56287 0.90490 0.83345
H 4.11137 2.87332 1.07677
H 2.20438 -1.37560 -0.58967
H -3.27812 3.63544 -2.26231
H -5.44597 2.80018 -1.50595
H -5.59037 0.75039 -0.07966
H -3.65194 -0.60789 0.32897
C 0.16295 6.50418 -2.83042
C 0.64832 5.44059 -3.57643
C 0.35764 4.13472 -3.20180
C -0.41702 3.86663 -2.07878
C -0.89664 4.94561 -1.33447
C -0.61192 6.25032 -1.70456
C -0.69673 2.45717 -1.66876
C -1.56408 1.96880 0.27464
C -1.99873 2.34535 1.62998
C -3.04267 3.23735 1.84907
C -3.42535 3.57595 3.14290
C -2.76351 3.03079 4.23191
C -1.71686 2.13750 4.01961
C -1.33980 1.79580 2.73247
H 0.38600 7.52309 -3.12179
H 1.25770 5.62551 -4.45266
H 0.74081 3.30480 -3.78426
H -1.49665 4.75541 -0.45016
H -0.99297 7.07257 -1.11127
H -0.39674 1.75625 -2.45364
H -3.55678 3.66691 0.99864
H -4.24230 4.27118 3.29629
H -3.05901 3.29581 5.23982
H -1.19509 1.70298 4.86350
H -0.53235 1.09234 2.56688
C -3.35973 -3.89401 -1.27344
C -2.95722 -4.37591 0.11465
C -1.47417 -4.16954 0.51589
C -1.23536 -4.80363 1.88580
C 0.18105 -4.59808 2.40892
C -0.62007 -4.87104 -0.52123
O -0.45563 -6.07446 -0.53770
N -0.04810 -4.06486 -1.46639